On Thursday night P&Z held an open mic session at town hall for residents to give input to the 2019 Plan of Conservation and Development which is updated every ten years.
A couple dozen people spoke, mainly longtime residents and familiar faces in local government and non profits including the Greenwich Tree Conservancy.
Aleksandra Moch of the Town’s conservation commission gave a snapshot of the town’s changing demographics and housing trends taken from the Partnership for Strong Communities.
Median age is 42.2 years old. Which is 2 years older than average for Connecticut.
Families are living together longer.
The cost of living in Greenwich is increasing.
Greenwich’s median household income is $171,864
Greenwich’s median income in 2015 was 52% higher than in Fairfield County and 82% higher than in the state.
The projection for school age population by 2030 is for a 7% decrease
Housing stock is 61.1 % owner occupied, 31% rentals and remainder is vacancies
Housing stock is 71% single family housing.
Greenwich is short studio apartments and one bedroom housing
Moch said in the 1970s, development was to accommodate baby boomers expecting large families who expected to stay in Town.
“Now baby boomers are getting older and looking to downsize. This type of housing doesn’t address their needs,” Moch said.
42% of renters spent more than 30% of their income on housing.
33% of owners spent more than 30% on housing
Moch said spending so much on housing means little is left over for necessities including transportation, food, healthcare, etc.
Median home value in Greenwich is now $1,169,900
Francie Alvarez from the Greenwich Tree Conservancy used the example of a magnificent 100 year old Copper Beech tree near Palmer Hill (part of the original Havemeyer Estate) that is in danger. Though the developer did not cut down the tree during construction of a new house, a deep utility trench damaged its roots. Debris piled up at its base put further stress on the tree. Also, she said, “They raised the grade plane 1.5 ft and the bark started to decline and bark loss moved up the trunk.”
She said Hartford was the first city to establish regulations to protect the tree canopy – with minimum requirements. Historically important and significant trees require a permit for removal.
“They clean out air, water and prevent flooding and erosion,” she said. “Yet in Greenwich we have minimal regulations to protect them. …Our largest, oldest and most significant trees provide the greatest percentage of canopy and can increase property values, yet it’s not protected as a valuable asset to our community. We continue to lose trees after 2-5 years after construction.”
“Greenwich must include in 2019 POCD protection of our trees on all lots, big and small, and set community goals for reforestation,” Alvarez said.
Mark Pruner, a realtor who works extensively with developers complained that the level of complexity that has increased over past 15 years.
“The path to unaffordability is paved with good intentions,” he said, adding that the permitting process is lengthy. “When it’s necessary to stop work for weeks to wait for a building inspector’s visit, makes it more expensive to develop reasonable and more affordable housing in Greenwich. It’s resulted in the pushing out of long term residents.”
Pruner said the present process is expensive, lengthy and uncertain.
“There are people who want to use the Historic Overlay but don’t know if they use this expensive process what they’ll end up with at the end of the day,” he said. “Providing certainty is important.”
Also, he said requiring expensive professionals isn’t always necessary. “I’d like to see the staff make more decisions,” he said.
Pruner suggested that different departments have joint meetings.
“Because things take months now. There are also people who want to extend the deck or make another improvement to their property but the cost of the process exceeds the cost of the project. So the improvements are not done”
Conversely he said, “We see daily houses that are out of compliance because they didn’t go through the process. They did it (construction) knowing it was in violation and want to sell and know it’s in violation.”
“Make it quicker, easier and more certain. That would preserve the character of the town,” he said.
Cheryl Dunson of the Greenwich Tree Conservancy talked about water and erosion in relation to the tree canopy.
“When storm water falls on a wooded lot, the lot would retain much of the water, but if it runs onto a man made surface it would be channeled to the nearest catch basin and accelerate erosion and pollution because it picks up contamination en route,” she warned.
She said residents have been flooded as the result of adjacent construction.
“These issues can be effected by the landscape and by protecting the tree canopy,” Dunson said. “In the 1970s builders selectively cut trees that were required for the building envelope. We now have death by 1,000 cuts. Or the lot is clear cut completely so it’s easier to build a house.”
Dunson said she was also disturbed to see the clear cutting along I95 between exit 3 and 4 which was done in advance of a replacement of a town sewer line. The Dept of Transportation does not want to replace the trees after the work is done because they will then be liable. However, the trees provided both a noise and sound barrier in addition to being aesthetically pleasing.
“Did it require clear cutting of all those trees?” Dunson asked. “Could some of them been spared. …We don’t even know how many were cut down. We do know that one piece of infrastructure was replaced, while one for noise abatement and pollution was eliminated.”
Mike Warner said the language of the POCD is too general. “It’s not something that gives you enough direction to prepare your regulations from. Have it be as specific as possible to give you direction.”
(These records of crystals were left in the entry by mistake)
........
Computed powder diffractogram
Compound: Ce6HoS12
Radiation: CuKα
Structure: a crystal structure in Alexandria, relaxed with PBE
Lines closer than 0.1° are merged.

Principal peaks in the range 5° ≤ 2θ ≤ 70°, by intensity:
2θ/deg	d_spacing	I_rel
23.53	3.781	100
38.90	2.315	63
45.96	1.975	41
27.23	3.275	17
61.72	1.503	10
48.12	1.891	9

Atomic structure:
```
Ce6HoS12
1.0
6.1302 3.5393 3.7762
-6.1302 3.5393 3.7762
0.0000 -7.0785 3.7762
Ce Ho S
6 1 12
Direct
0.1186 0.6351 0.8006
0.1994 0.8814 0.3649
0.3649 0.1994 0.8814
0.6351 0.8006 0.1186
0.8006 0.1186 0.6351
0.8814 0.3649 0.1994
0.5000 0.5000 0.5000
0.0672 0.3226 0.9187
0.0813 0.9328 0.6774
0.1762 0.5540 0.4345
0.3226 0.9187 0.0672
0.4345 0.1762 0.5540
0.4460 0.5655 0.8238
0.5540 0.4345 0.1762
0.5655 0.8238 0.4460
0.6774 0.0813 0.9328
0.8238 0.4460 0.5655
0.9187 0.0672 0.3226
0.9328 0.6774 0.0813
```
........
Mr. Warner’s point was echoed by others who were more blunt.
“Why are we doing a POCD if we don’t enforce it?” Don Conway asked. “Our ZEO’s do absolutely nothing. For three years I’ve complained on our block about violations: lights too bright well into the night, garbage from industrial areas, they don’t care.”
“Put a big paragraph in there for teeth,” he said. “And get another enforcement officer or two to go out there” Mr. Conway received a round of applause.
Katie DeLuca said it was unfair to blame the zoning enforcement officers, who are hamstrung by a process dictated by the state in which they have to write a warning letter and wait a set number of weeks before proceeding.
“There is a long process involved in enforcement,” she said. “You could ask to note in POCD to work with state legislature to change how violations are handled.”
Rick Kral and Abbe Large presented a rough proposal to develop Havemeyer.
“We’ve heard a lot about trying to define specific projects outlined in POCD rather than plans and conceptual drawings… we need to identify specific projects in the plan that the town needs to follow through on,” Kral said, adding that there have been references to projects like a new fire house, but no real direction in the POCD.
Kral pointed out that Havemeyer Field behind between town hall and the Havemeyer Building (home to the Board of Education), could benefit from a multi purpose field that would suit a number of playing activities.
“It would be artificially turfed,” he said, adding that there is room for up to 1,000 parking spaces. He said it would be a good location for a community center and would attract young people.
“We hope this POCD will initiate that kind of thought, make Greenwich cool again, and make downtown vital through proper planning.”
Dean Gaminos who is an RTM liaison to Parks & Rec, talked about historic preservation and shortage of fields in Town.
“I see a lot of people trying to attract people to our town through a PR campaign and other means,” he said. “Please consider the historic buildings and preserving them. We talk about this a lot, but can’t seem to come up with a solution to the wrecking ball. Maybe offer tax incentives for work that’s done to preserve some of our older structures.”
Citing the shortage of fields in town Gaminos said, “Maybe we need more parks. Why not build upon that legacy and add more parks and playing fields so there isn’t a waiting list. It would be an appealing point to people considering moving to Greenwich.”
Laura Gladstone said she was concerned about the limited water supply given the increased construction of multi family housing.
“Without all these multi family buildings, I’m worried about our chronic water shortage. It’ll take a toll if we bring in more commercial development and multi family dwellings.”
Attached: data records:
/*
For Zr3Cl5, a DFT-relaxed cell (GGA-PBE, Alexandria) gives the theoretical PXRD pattern in this record (copper Kα).

Atomic structure:
Lattice parameters (Å, degrees): 9.2349 11.1551 3.1901 90.00 90.00 90.00
Fractional coordinates of all 16 atoms:
Zr  0.0000  0.0000  0.0000
Zr  0.0000  0.2872  0.5000
Zr  0.0000  0.7128  0.5000
Zr  0.5000  0.2128  0.5000
Zr  0.5000  0.5000  0.0000
Zr  0.5000  0.7872  0.5000
Cl  0.0000  0.5000  0.0000
Cl  0.2140  0.0000  0.5000
Cl  0.2500  0.2500  0.0000
Cl  0.2500  0.7500  0.0000
Cl  0.2860  0.5000  0.5000
Cl  0.5000  0.0000  0.0000
Cl  0.7140  0.5000  0.5000
Cl  0.7500  0.2500  0.0000
Cl  0.7500  0.7500  0.0000
Cl  0.7860  0.0000  0.5000

Principal peaks in the range 10 to 90 degrees two-theta, by intensity:
2theta	intensity	index
37.89	100	2 2 1
32.10	31	0 4 0
25.83	27	1 3 0
19.22	23	2 0 0
39.01	22	4 0 0
58.76	15	3 5 1
51.38	13	4 4 0
69.93	11	6 2 1
41.58	10	3 1 1
50.92	10	1 5 1
61.08	10	2 6 1
32.33	9	0 2 1


For ZrCl3, a DFT-relaxed cell (GGA-PBE, Alexandria) gives the theoretical PXRD pattern in this record (copper Kα).

Atomic structure:
Lattice parameters (Å, degrees): 7.0706 7.0706 6.0747 90.00 90.00 120.00
Fractional coordinates of all 8 atoms:
Zr  0.0000  0.0000  0.0000
Zr  0.0000  0.0000  0.5000
Cl  0.0000  0.2922  0.2500
Cl  0.0000  0.7078  0.7500
Cl  0.2922  0.0000  0.2500
Cl  0.2922  0.2922  0.7500
Cl  0.7078  0.0000  0.7500
Cl  0.7078  0.7078  0.2500

Principal peaks in the range 10 to 90 degrees two-theta, by intensity:
2theta	intensity	index
14.47	100	1 0 0
29.21	30	1 1 1
39.10	26	1 1 2
41.90	15	2 0 2
49.52	15	2 1 2
44.38	14	3 0 0
32.92	12	1 0 2
54.00	10	3 1 0
38.91	8	2 1 0
74.41	6	3 2 2
60.61	6	2 2 2
78.50	5	3 0 4
*/
The text goes on:
DeLuca pointed out that three or more units is no longer permitted in multi residential zones.
“But multi family development in commercial zones or the villages is still an option,” she said.
“We want to bring in more millennials, but if you look at Stamford and Norwalk, there’s a lot of vacant apartment buildings. Why would it be different here?” she asked.
Paul Pugliese, a realtor and developer said the POCD needs to be “re-synchronized to the regulations.”
“The town of Greenwich is a complex organizational system,” he said. “There are a lot of moving parts. And a lot of parts are in conflict because of the regulations. The reasons lots are being clear cut is because of the grade plane. The drainage manual is also responsible for clear cutting and historic houses trying to do a minimal addition and don’t comply with the drainage manual.”
Mary Hull who has been director of Greenwich Green & Clean for 31 years said she’d spent innumerable hours on the last POCD.
“There were many times we’ve been told ‘It’s never been that way.’ I left thinking why do we set the standards for downtown Greenwich on one of the ugliest and least aesthetic periods of our development? Why do we have to have flat roofs and attach the buildings instead of going between them.”
Hull said there was a “smashing plan” for Ralph Lauren that was rejected.
“It was a free standing, almost house-looking building as if from the 1900s. But everybody said it had to have a flat roof and be attached to buildings next to it.”
She said she understood P&Z’s focus on adequate parking. However, she said, “We need more trees and less vehicles. We worry so much about the number of parking spaces that we don’t worry about trees.”
See also:
Planning & Zoning Commission Approves New R-6 Regs, Too Late for Some Neighborhoods (June 2017)Bocchino Explains “Sudden and Unexpected Clear Cutting of Trees along I-95”